Listing
=====
Entry 1:
100
Properties=species:S:1:pos:R:3:mulliken_charge:R:1 method="wB97M-V/def2-TZVPD" lumo_ev=1.7 charge=-1 energy_ha=-5536.6803 homo_lumo_gap_ev=4.958 homo_ha=-0.118
Rb 0.0801 0.3060 -0.7412 0.49
O 1.3530 4.4726 -2.2946 -0.73
S 1.1245 3.5040 -1.2449 0.34
O 1.7277 2.1941 -1.4220 0.07
N -0.3722 3.2507 -0.8626 0.28
C -1.3354 4.2250 -0.9167 0.23
C -1.1254 5.5926 -0.8260 -0.63
C -2.1929 6.5072 -0.8370 -1.01
C -3.4911 6.0934 -0.9320 -0.89
C -3.7632 4.7090 -1.0350 1.24
C -5.0798 4.2076 -1.1509 -0.70
C -5.2863 2.8657 -1.2673 -0.88
C -4.1621 2.0118 -1.2658 -0.29
N -2.9293 2.4321 -1.1506 0.05
C -2.7031 3.7692 -1.0337 -0.35
C 1.9476 4.1715 0.1992 0.24
C 1.3714 4.0649 1.4550 0.25
C 2.0501 4.5405 2.5685 -0.70
C 3.3049 5.1149 2.4245 -0.60
C 3.8770 5.2221 1.1627 -0.62
C 3.1978 4.7554 0.0477 -0.84
H -0.1142 5.9697 -0.7609 0.52
H -1.9667 7.5649 -0.7642 0.37
H -4.3137 6.7990 -0.9373 0.35
H -5.9092 4.9067 -1.1481 0.38
H -6.2803 2.4472 -1.3588 0.39
H -4.3014 0.9378 -1.3529 0.48
H 0.3902 3.6147 1.5439 0.33
H 1.5994 4.4643 3.5509 0.46
H 3.8376 5.4800 3.2939 0.37
H 4.8562 5.6699 1.0472 0.40
H 3.6268 4.8386 -0.9427 0.44
C 3.0124 -1.8910 2.4728 -0.91
Si 3.7156 -1.2789 0.8240 -0.15
C 3.8228 0.5874 1.1153 -0.38
C 5.5074 -1.9150 0.7833 -1.13
C 2.7330 -1.6633 -0.6782 1.33
C 1.6903 -2.6323 -0.6916 -0.36
C 1.6868 -3.8195 0.1154 -0.72
C 0.6572 -4.7174 0.0693 -0.96
C -0.4118 -4.5070 -0.8154 0.00
C -0.3237 -3.3800 -1.6084 -0.58
N 0.6403 -2.4702 -1.5669 -0.01
Si 3.3630 -1.0942 -2.3035 0.52
C 4.3763 -2.4944 -3.0961 -1.33
C 2.1104 -0.6336 -3.6446 -0.94
C 4.5606 0.3613 -2.2046 -0.76
H 3.6287 -1.4502 3.2660 0.36
H 3.0094 -2.9708 2.6209 0.36
H 1.9912 -1.5227 2.5862 -0.02
H 4.6448 0.8282 1.7993 0.42
H 2.8887 0.9213 1.5791 -0.15
H 3.9538 1.1680 0.2019 0.06
H 6.0558 -1.6375 1.6896 0.32
H 6.0494 -1.5084 -0.0747 0.30
H 5.5263 -3.0054 0.6911 0.27
H 2.5518 -4.0253 0.7262 0.52
H 0.6923 -5.6089 0.6876 0.38
H -1.2439 -5.1954 -0.8914 0.34
H -1.0983 -3.1762 -2.3505 0.26
H 3.7806 -3.4110 -3.1496 0.30
H 5.2601 -2.7137 -2.4891 0.30
H 4.7083 -2.2428 -4.1092 0.29
H 1.4467 -1.4733 -3.8580 0.24
H 2.6509 -0.3664 -4.5590 0.37
H 1.4986 0.2268 -3.3689 0.13
H 5.4117 0.1564 -1.5504 0.26
H 4.0681 1.2752 -1.8685 -0.03
H 4.9518 0.5389 -3.2118 0.39
C -2.1698 1.8812 1.9704 -0.19
As -1.0635 0.5923 2.8723 0.50
C -0.1728 1.5506 4.2921 -0.92
C -2.2474 -0.6620 3.7281 -0.99
O 0.0244 -0.1285 1.8825 0.00
H -2.6420 2.5464 2.6943 0.43
H -2.9362 1.3628 1.3966 0.13
H -1.5526 2.4537 1.2765 -0.37
H -0.8839 2.1054 4.9037 0.40
H 0.5410 2.2327 3.8318 -0.01
H 0.3719 0.8355 4.9060 0.40
H -2.9025 -0.1488 4.4324 0.39
H -1.6392 -1.3978 4.2514 0.35
H -2.8372 -1.1548 2.9564 0.11
C -3.4933 -5.0916 -3.1442 -1.46
C -3.8047 -4.7395 -1.7290 0.81
C -4.1739 -5.6256 -0.7629 -0.83
C -4.3829 -5.1208 0.5410 1.00
N -4.2566 -3.8552 0.8574 -0.53
C -3.8853 -2.9598 -0.0951 -0.13
S -3.6752 -1.3353 0.1775 -0.35
N -3.6891 -3.4456 -1.3746 0.10
C -4.7516 -6.0546 1.6535 -1.25
H -3.7464 -6.1300 -3.3422 0.39
H -2.4271 -4.9488 -3.3305 0.30
H -4.0467 -4.4522 -3.8333 0.38
H -4.2814 -6.6763 -0.9853 0.33
H -3.3811 -2.7553 -2.0461 0.28
H -5.1563 -6.9932 1.2782 0.35
H -5.4682 -5.5739 2.3161 0.37
H -3.8563 -6.2728 2.2391 0.27



Entry 2:
26
Properties=species:S:1:pos:R:3:mulliken_charge:R:1 method="wB97M-V/def2-TZVPD" lumo_ev=1.0 charge=0 energy_ha=-390.5916 homo_lumo_gap_ev=9.829 smiles=CCc1ccccc1.CC homo_ha=-0.326
C 0.4524 -2.9503 -0.5133 -0.69
C 1.7248 -3.8194 -0.4036 -1.09
C 0.3363 -1.6233 0.1863 0.56
C 1.4161 -0.7086 0.0309 -0.59
C -0.7524 -1.3384 0.9865 -0.40
C 1.2549 0.5442 0.5978 -0.33
C -0.8920 -0.0710 1.5675 -0.40
C 0.1236 0.8319 1.4145 -0.52
H 0.5087 -2.7000 -1.5973 0.28
H -0.4774 -3.5101 -0.5232 0.43
H 1.6180 -4.7686 0.1136 0.31
H 2.3353 -1.0215 -0.4356 0.40
H -1.3972 -2.0572 1.4517 0.32
H 2.1854 1.1433 0.6456 0.32
H -1.7220 0.0863 2.2627 0.39
H 0.2570 1.6932 2.0808 0.37
H 2.4820 -3.3115 0.2181 0.36
H 2.1750 -4.0758 -1.3834 0.27
C -1.7164 2.8208 -1.1517 -0.49
C -1.2376 4.0864 -0.5316 -0.86
H -1.3505 2.6483 -2.1659 0.26
=====

Exercise
Please give back the contents further up character by character.

Solution
Entry 1:
100
Properties=species:S:1:pos:R:3:mulliken_charge:R:1 method="wB97M-V/def2-TZVPD" lumo_ev=1.7 charge=-1 energy_ha=-5536.6803 homo_lumo_gap_ev=4.958 homo_ha=-0.118
Rb 0.0801 0.3060 -0.7412 0.49
O 1.3530 4.4726 -2.2946 -0.73
S 1.1245 3.5040 -1.2449 0.34
O 1.7277 2.1941 -1.4220 0.07
N -0.3722 3.2507 -0.8626 0.28
C -1.3354 4.2250 -0.9167 0.23
C -1.1254 5.5926 -0.8260 -0.63
C -2.1929 6.5072 -0.8370 -1.01
C -3.4911 6.0934 -0.9320 -0.89
C -3.7632 4.7090 -1.0350 1.24
C -5.0798 4.2076 -1.1509 -0.70
C -5.2863 2.8657 -1.2673 -0.88
C -4.1621 2.0118 -1.2658 -0.29
N -2.9293 2.4321 -1.1506 0.05
C -2.7031 3.7692 -1.0337 -0.35
C 1.9476 4.1715 0.1992 0.24
C 1.3714 4.0649 1.4550 0.25
C 2.0501 4.5405 2.5685 -0.70
C 3.3049 5.1149 2.4245 -0.60
C 3.8770 5.2221 1.1627 -0.62
C 3.1978 4.7554 0.0477 -0.84
H -0.1142 5.9697 -0.7609 0.52
H -1.9667 7.5649 -0.7642 0.37
H -4.3137 6.7990 -0.9373 0.35
H -5.9092 4.9067 -1.1481 0.38
H -6.2803 2.4472 -1.3588 0.39
H -4.3014 0.9378 -1.3529 0.48
H 0.3902 3.6147 1.5439 0.33
H 1.5994 4.4643 3.5509 0.46
H 3.8376 5.4800 3.2939 0.37
H 4.8562 5.6699 1.0472 0.40
H 3.6268 4.8386 -0.9427 0.44
C 3.0124 -1.8910 2.4728 -0.91
Si 3.7156 -1.2789 0.8240 -0.15
C 3.8228 0.5874 1.1153 -0.38
C 5.5074 -1.9150 0.7833 -1.13
C 2.7330 -1.6633 -0.6782 1.33
C 1.6903 -2.6323 -0.6916 -0.36
C 1.6868 -3.8195 0.1154 -0.72
C 0.6572 -4.7174 0.0693 -0.96
C -0.4118 -4.5070 -0.8154 0.00
C -0.3237 -3.3800 -1.6084 -0.58
N 0.6403 -2.4702 -1.5669 -0.01
Si 3.3630 -1.0942 -2.3035 0.52
C 4.3763 -2.4944 -3.0961 -1.33
C 2.1104 -0.6336 -3.6446 -0.94
C 4.5606 0.3613 -2.2046 -0.76
H 3.6287 -1.4502 3.2660 0.36
H 3.0094 -2.9708 2.6209 0.36
H 1.9912 -1.5227 2.5862 -0.02
H 4.6448 0.8282 1.7993 0.42
H 2.8887 0.9213 1.5791 -0.15
H 3.9538 1.1680 0.2019 0.06
H 6.0558 -1.6375 1.6896 0.32
H 6.0494 -1.5084 -0.0747 0.30
H 5.5263 -3.0054 0.6911 0.27
H 2.5518 -4.0253 0.7262 0.52
H 0.6923 -5.6089 0.6876 0.38
H -1.2439 -5.1954 -0.8914 0.34
H -1.0983 -3.1762 -2.3505 0.26
H 3.7806 -3.4110 -3.1496 0.30
H 5.2601 -2.7137 -2.4891 0.30
H 4.7083 -2.2428 -4.1092 0.29
H 1.4467 -1.4733 -3.8580 0.24
H 2.6509 -0.3664 -4.5590 0.37
H 1.4986 0.2268 -3.3689 0.13
H 5.4117 0.1564 -1.5504 0.26
H 4.0681 1.2752 -1.8685 -0.03
H 4.9518 0.5389 -3.2118 0.39
C -2.1698 1.8812 1.9704 -0.19
As -1.0635 0.5923 2.8723 0.50
C -0.1728 1.5506 4.2921 -0.92
C -2.2474 -0.6620 3.7281 -0.99
O 0.0244 -0.1285 1.8825 0.00
H -2.6420 2.5464 2.6943 0.43
H -2.9362 1.3628 1.3966 0.13
H -1.5526 2.4537 1.2765 -0.37
H -0.8839 2.1054 4.9037 0.40
H 0.5410 2.2327 3.8318 -0.01
H 0.3719 0.8355 4.9060 0.40
H -2.9025 -0.1488 4.4324 0.39
H -1.6392 -1.3978 4.2514 0.35
H -2.8372 -1.1548 2.9564 0.11
C -3.4933 -5.0916 -3.1442 -1.46
C -3.8047 -4.7395 -1.7290 0.81
C -4.1739 -5.6256 -0.7629 -0.83
C -4.3829 -5.1208 0.5410 1.00
N -4.2566 -3.8552 0.8574 -0.53
C -3.8853 -2.9598 -0.0951 -0.13
S -3.6752 -1.3353 0.1775 -0.35
N -3.6891 -3.4456 -1.3746 0.10
C -4.7516 -6.0546 1.6535 -1.25
H -3.7464 -6.1300 -3.3422 0.39
H -2.4271 -4.9488 -3.3305 0.30
H -4.0467 -4.4522 -3.8333 0.38
H -4.2814 -6.6763 -0.9853 0.33
H -3.3811 -2.7553 -2.0461 0.28
H -5.1563 -6.9932 1.2782 0.35
H -5.4682 -5.5739 2.3161 0.37
H -3.8563 -6.2728 2.2391 0.27



Entry 2:
26
Properties=species:S:1:pos:R:3:mulliken_charge:R:1 method="wB97M-V/def2-TZVPD" lumo_ev=1.0 charge=0 energy_ha=-390.5916 homo_lumo_gap_ev=9.829 smiles=CCc1ccccc1.CC homo_ha=-0.326
C 0.4524 -2.9503 -0.5133 -0.69
C 1.7248 -3.8194 -0.4036 -1.09
C 0.3363 -1.6233 0.1863 0.56
C 1.4161 -0.7086 0.0309 -0.59
C -0.7524 -1.3384 0.9865 -0.40
C 1.2549 0.5442 0.5978 -0.33
C -0.8920 -0.0710 1.5675 -0.40
C 0.1236 0.8319 1.4145 -0.52
H 0.5087 -2.7000 -1.5973 0.28
H -0.4774 -3.5101 -0.5232 0.43
H 1.6180 -4.7686 0.1136 0.31
H 2.3353 -1.0215 -0.4356 0.40
H -1.3972 -2.0572 1.4517 0.32
H 2.1854 1.1433 0.6456 0.32
H -1.7220 0.0863 2.2627 0.39
H 0.2570 1.6932 2.0808 0.37
H 2.4820 -3.3115 0.2181 0.36
H 2.1750 -4.0758 -1.3834 0.27
C -1.7164 2.8208 -1.1517 -0.49
C -1.2376 4.0864 -0.5316 -0.86
H -1.3505 2.6483 -2.1659 0.26